WILLA v3 - From the Editors

Volume 3
Fall 1994

From the Editors

To publish the third issue of WILLA is a triumph in that these days getting past one issue of any publication is significant. To hang in there for three issues with the assurance of more to come bespeaks a commitment and dedication that only a cause can create. To improve and empower girls and women in literature and in life is necessarily to make everyone's life better, for English, as we speak it, read it, write it, and cherish it, involves and teaches us all. There is significance in the designation -- Mother Tongue.

Moreover, it becomes increasingly clear that the early years are extremely crucial to the development of a sense of self and the placement of that self in community of knowledge with others. Indeed, if our columnists' anecdotal accounts are as true for you as they are for them, then it may be time to reconsider single-sex schools, some thing most of us would reluctantly do. But questions persist: Do the sexes, in the adolescent years, when placed in the same schools together so distract one another that neither sex can perform as well as it should? If the sexes stay together in class rooms during those crucial teen years, what can be cone to further respect and appreciation for each sex? Are single-sex classes, say in math and in science, another way to proceed? Can an educational environment successfully compete with media and peer influence? These queries lead to other all-important questions -- what is knowledge, who creates it, does it exist in its own right, what if there are knowledges some don't want to learn, can knowledge compete with one another, e.g., is knowledge about sports the same as knowledge about history or women's contributions? What knowledge(s) do we value and why? Heady questions, but is seems that we are daily being forced to consider them.

As our interview with Kate Swift and Casey Miller shows, language is the chief way we communicate with one another, and if that language is biased, as they aptly demonstrate in their two books Words and Women and The Nonsexist Guidelines to the English Language , then we should address that issue on all fronts and in the earliest stages possible. Of particular note in the interview is the fact that the two authors are not academicians but women writers who, recognizing the importance of sexist language, set about gathering material to prove its reality and to change it. Our education(s) may/should come from everyone who is knowledgeable. In this vein, we are pleased to note that seven members of WILLA participated in the first ever international conference, entitled Global Conversations on Language and Literacy, sponsored by National Council of English, The National Writing Project, Department of Defense Dependent Schools, and The National Association for the Teaching of English (England) which was held at Oxford University this past summer. The seven WILLA members spoke on various aspects of Gender Issues in the Teaching of Reading and Writing, a session that will be lengthened to an all-day meeting in Orlando this November.

<<<
No. 1
The following is a DFT calculation (r²SCAN) of YAgTe2 after structural relaxation.

The value obtained for the uncorrected energy is -96.8 eV per cell. The value obtained for the calculated formation energy is -1.079 eV per atom.

It has space group P3m1 (No. 156), with a = 4.4796 Å, b = 4.4796 Å, c = 7.3269 Å, α = 90.00°, β = 90.00° and γ = 120.00°. The distinct sites, in fractional coordinates, are Y at (0.0000, 0.0000, 0.0000), Ag at (0.3333, 0.6667, 0.4029), Te at (0.3333, 0.6667, 0.7784) and Te at (0.6667, 0.3333, 0.2466).

***

No. 2
The following is a DFT calculation (r²SCAN) of Sr2GeS4 after structural relaxation.

The value obtained for the uncorrected energy is -175.1 eV per cell. The value obtained for the calculated formation energy is -1.608 eV per atom.

It has space group P2_1/m (No. 11), with a = 6.741 Å, b = 6.733 Å, c = 8.250 Å, α = 90.00°, β = 108.08° and γ = 90.00°. The distinct sites, in fractional coordinates, are Sr at (0.222, 0.250, 0.053), Sr at (0.265, 0.250, 0.567), Ge at (0.228, 0.750, 0.801), S at (0.008, 0.003, 0.741), S at (0.402, 0.750, 0.075) and S at (0.419, 0.750, 0.626).

***

No. 3
The following is a DFT calculation (r²SCAN) of LiTiPt2 after structural relaxation.

The value obtained for the uncorrected energy is -487.5 eV per cell. The value obtained for the calculated formation energy is -0.896 eV per atom.

It has space group Fm-3m (No. 225), with a = 6.121 Å, b = 6.121 Å, c = 6.121 Å, α = 90.00°, β = 90.00° and γ = 90.00°. The distinct sites, in fractional coordinates, are Li at (0.000, 0.000, 0.000), Ti at (0.000, 0.000, 0.500) and Pt at (0.250, 0.250, 0.250).

***

No. 4
The following is a DFT calculation (r²SCAN) of NaTl2Cd after structural relaxation.

The value obtained for the uncorrected energy is -521.5 eV per cell. The value obtained for the calculated formation energy is -0.089 eV per atom.

It has space group Fm-3m (No. 225), with a = 7.475 Å, b = 7.475 Å, c = 7.475 Å, α = 90.00°, β = 90.00° and γ = 90.00°. The distinct sites, in fractional coordinates, are Na at (0.000, 0.000, 0.000), Tl at (0.250, 0.250, 0.250) and Cd at (0.000, 0.000, 0.500).

***

No. 5
The following is a DFT calculation (r²SCAN) of Na3H6Ir after structural relaxation.

The value obtained for the uncorrected energy is -353.9 eV per cell. The value obtained for the calculated formation energy is -0.470 eV per atom.

It has space group Pnma (No. 62), with a = 9.281 Å, b = 5.198 Å, c = 9.511 Å, α = 90.00°, β = 90.00° and γ = 90.00°. The distinct sites, in fractional coordinates, are Na at (0.046, 0.250, 0.128), Na at (0.103, 0.750, 0.535), Na at (0.220, 0.250, 0.750), H at (0.110, 0.028, 0.338), H at (0.123, 0.250, 0.548), H at (0.169, 0.521, 0.968), H at (0.184, 0.750, 0.752) and Ir at (0.222, 0.250, 0.402).

***

No. 6
The following is a DFT calculation (r²SCAN) of HoTaRu2 after structural relaxation.
>>>
**The page goes on:**

For the first time, WILLA is pleased to offer book reviews because they succinctly summarize key issues that we wish to address, e.g. what texts help to bolster knowledge and self-esteem ( Weaving in the Women: Transforming the High School English Curriculum ); what impedes the equal education of girls ( Failing at Fairness: How America's Schools Cheat Girls) ; what changes need to be made in theories and discussions ( Re-educating the Imagination ); and what NCTE women presidents have accomplished ( Missing Chapters) .

We also present Sullivan's essay "Feminist and (Other?) Pleasures" which analyzes what went right and wrong in a class when it discussed popular works from a feminist perspective. Feminism and pleasure, let us has ten to emphasize, don't automatically go hand in hand. Elouise Bell's "Beauty and the Best" creatively discourses upon the risks of the divided self. Jacqueline Olson Padgett analyzes another division -- the secular and the religious - -and Carol L. Winkelmann the dichotomy of personal and professions.

"Bearing Witness" by Martha Marinara, is WILLA's first short story. It interestingly presents the problem of an educator (the mother) who knows more about life and death than she can reveal to her young sons who need to travel with some modicum of hope, just as the mother does, although in the adult world that hope is not so readily obtained.

Other selections include personal essays by Barbara Dreher ("It's a Long Lane That Has No Turning") and Deborah Straw ("The Little Details of Our Lives") and a response to "Teaching Ain't No Joke," an earlier personal essay in WILLA. WILLA continues to publish poetry, and happily we include poems by Andrena Zawinski, Kathleen S. Rohr, and Donna Decker, our new poetry editor.

These data records were left in the text by mistake.
-- begin --
Record 1
Computed, not measured: an optimized crystal structure of VP2O7 at the PBE with a Hubbard U level of DFT. Values from VASP.

## Properties
Energy above the lowest structure with this stoichiometry (meV/atom): 67.6
Theoretical density (g cm⁻³): 2.7
ΔE_f (eV per atom): -2.56

Structure (Quantum ESPRESSO input):
```
&SYSTEM
  ibrav = 0, nat = 40, ntyp = 3
/
ATOMIC_SPECIES
V 50.94 V.upf
P 30.97 P.upf
O 16.00 O.upf
CELL_PARAMETERS angstrom
-1.8870 -4.9143 3.5822
-5.8278 0.2707 -7.4730
8.9188 -5.5460 -1.4069
ATOMIC_POSITIONS crystal
V 0.6273 0.5019 0.2425
V 0.3696 0.4877 0.7511
V 0.7306 0.0945 0.2216
V 0.2715 0.8959 0.7759
P 0.9446 0.8166 0.2199
P 0.3096 0.7977 0.0339
P 0.8913 0.5501 0.6989
P 0.1063 0.4407 0.2961
P 0.0557 0.1722 0.7757
P 0.4079 0.6786 0.5390
P 0.6924 0.1914 0.9623
P 0.5896 0.3144 0.4559
O 0.1906 0.5440 0.4587
O 0.9253 0.2625 0.9138
O 0.0654 0.8827 0.3543
O 0.4267 0.6716 0.6820
O 0.1255 0.0536 0.8173
O 0.7277 0.6719 0.1956
O 0.7309 0.1056 0.0515
O 0.9414 0.5118 0.2658
O 0.6414 0.1485 0.4081
O 0.5975 0.6509 0.4448
O 0.6830 0.5298 0.7803
O 0.4535 0.9195 0.1624
O 0.3139 0.4589 0.2135
O 0.9898 0.7254 0.7186
O 0.2704 0.3178 0.7976
O 0.8055 0.4510 0.5359
O 0.9329 0.1030 0.6415
O 0.2714 0.8849 0.9458
O 0.3567 0.8447 0.5885
O 0.0763 0.7274 0.0823
O 0.0095 0.2668 0.2806
O 0.3936 0.6528 0.9422
O 0.6052 0.3356 0.0520
O 0.8810 0.9393 0.1804
O 0.0551 0.4757 0.7257
O 0.3987 0.3410 0.5491
O 0.5704 0.3199 0.3125
O 0.5511 0.0676 0.8332
```



Record 2
Computed, not measured: an optimized crystal structure of V2P3O11 at the PBE with a Hubbard U level of DFT. Values from VASP.

## Properties
Energy above the lowest structure with this stoichiometry (meV/atom): 0.0
Theoretical density (g cm⁻³): 3.0
ΔE_f (eV per atom): -2.64

Structure (Quantum ESPRESSO input):
```
&SYSTEM
  ibrav = 0, nat = 32, ntyp = 3
/
ATOMIC_SPECIES
V 50.94 V.upf
P 30.97 P.upf
O 16.00 O.upf
CELL_PARAMETERS angstrom
6.8675 -0.0314 -2.4283
-1.5193 6.7070 2.4323
0.0418 -0.0282 8.9603
ATOMIC_POSITIONS crystal
V 0.1106 0.3668 0.9590
V 0.3659 0.1110 0.5411
V 0.6406 0.8868 0.4608
V 0.8876 0.6410 0.0393
P 0.0398 0.0402 0.7498
P 0.4578 0.6720 0.7885
P 0.3273 0.5443 0.2910
P 0.6717 0.4573 0.7112
P 0.5441 0.3273 0.2093
P 0.9609 0.9605 0.2501
O 0.0078 0.8554 0.8984
O 0.0423 0.2296 0.7863
O 0.1367 0.9786 0.3983
O 0.2578 0.6175 0.8271
O 0.2293 0.0421 0.7132
O 0.1533 0.5428 0.1316
O 0.4711 0.8429 0.6301
O 0.2756 0.3725 0.4314
O 0.6343 0.7200 0.9322
O 0.4813 0.4812 0.7501
O 0.3970 0.7483 0.3303
O 0.6172 0.2577 0.6730
O 0.5158 0.5160 0.2499
O 0.3719 0.2761 0.0687
O 0.7203 0.6340 0.5677
O 0.5419 0.1535 0.3688
O 0.9795 0.1366 0.1020
O 0.7647 0.9472 0.2919
O 0.7484 0.3971 0.1698
O 0.8557 0.0073 0.6013
O 0.9473 0.7644 0.2083
O 0.8432 0.4706 0.8695
```



Record 3
Computed, not measured: an optimized crystal structure of VP2O7 at the PBE with a Hubbard U level of DFT. Values from VASP.

## Properties
Energy above the lowest structure with this stoichiometry (meV/atom): 105.9
-- stop --

We gratefully acknowledge the special editors, peer reviewers, contributors, printing staff, the WILLA Executive Board, the National Council of Teachers of English, and all those who make possible this publication.


Jo Gillikin

Fran Holman Johnson